Your job: start at the top of the notes below and transcribe each line, ending with the one that has "0.2485".

- - -
1.
# C27H29FN4OS

One molecule with the formula C27H29FN4OS at a distorted geometry (ωB97M-V/def2-TZVPD, OMol25).

Molar mass, g mol⁻¹: 476.6
E, eV: -50032.3310
SMILES string: O=C(NCc1nnc(SCc2ccccc2)n1-c1ccc(F)cc1)[C@]12C[C@H]3C[C@H](C[C@H](C3)C1)C2
Multiplicity: 1
Energy relative to the best compared isomer or geometry (same formula, charge and spin), kJ/mol: 0.0
HOMO-LUMO gap, eV: 9.05
Charge: 0

Atoms and positions in Å:
O 0.6727 2.2678 0.3807
C 1.3139 1.4341 0.9880
N 0.9638 1.0374 2.2395
C -0.3468 1.3575 2.7750
C -1.3157 0.3168 2.3299
N -1.4473 -0.8643 2.8641
N -2.2982 -1.5818 2.1184
C -2.6641 -0.8349 1.1126
S -3.7651 -1.2693 -0.1570
C -3.3483 -3.0597 -0.2329
C -1.9443 -3.2212 -0.7139
C -0.9354 -3.5959 0.1648
C 0.3705 -3.7041 -0.2815
C 0.6816 -3.4323 -1.6030
C -0.3185 -3.0457 -2.4804
C -1.6239 -2.9394 -2.0379
N -2.0699 0.3964 1.1864
C -2.1554 1.4444 0.2485
C -2.6408 2.6858 0.6360
C -2.6942 3.7166 -0.2827
C -2.2634 3.4796 -1.5749
F -2.3176 4.4818 -2.4724
C -1.7884 2.2445 -1.9783
C -1.7331 1.2197 -1.0559
C 2.5732 0.7729 0.4308
C 2.3655 -0.7450 0.3279
C 3.6195 -1.3918 -0.2605
C 3.8793 -0.8314 -1.6570
C 4.0893 0.6788 -1.5615
C 5.2909 0.9739 -0.6654
C 5.0293 0.4123 0.7308
C 4.8174 -1.0984 0.6418
C 3.7830 1.0685 1.3263
C 2.8417 1.3295 -0.9710
H 1.4186 0.2373 2.6494
H -0.6269 2.3374 2.3829
H -0.2953 1.3759 3.8645
H -3.4920 -3.4604 0.7680
H -4.0750 -3.4799 -0.9272
H -1.1765 -3.7919 1.1985
H 1.1479 -3.9995 0.4076
H 1.7006 -3.5190 -1.9503
H -0.0802 -2.8268 -3.5111
H -2.4052 -2.6292 -2.7177
H -2.9775 2.8408 1.6503
H -3.0591 4.6930 -0.0072
H -1.4578 2.1017 -2.9944
H -1.3541 0.2487 -1.3377
H 1.5028 -0.9568 -0.3096
H 2.1641 -1.1818 1.3095
H 3.4667 -2.4750 -0.3209
H 3.0286 -1.0475 -2.3074
H 4.7635 -1.3054 -2.0895
H 4.2702 1.0870 -2.5617
H 5.4552 2.0520 -0.6079
H 6.1909 0.5194 -1.0855
H 5.8886 0.6231 1.3775
H 5.7123 -1.5746 0.2353
H 4.6440 -1.5111 1.6388
H 3.6170 0.6883 2.3370
H 3.9269 2.1490 1.3962
H 1.9745 1.1385 -1.6063
H 2.9673 2.4119 -0.9110

Mulliken atomic charge list, values in e, 5 entries: -0.7289 -1.5577 0.0475 -1.2047 0.7148

=====

2.
# C27H29N2

A 2-piece molecular cluster, C27H29N2 overall at a distorted geometry (ωB97M-V/def2-TZVPD, OMol25).

Molar mass, g mol⁻¹: 381.5
E, eV: -31442.1065
Multiplicity: 1
Energy relative to the best compared isomer or geometry (same formula, charge and spin), kJ/mol: 250.7
HOMO-LUMO gap, eV: 4.89
Charge: +1

Atoms and positions in Å:
C -2.6786 0.2172 0.9845
C -4.1828 0.2275 1.0277
N -4.7220 -0.6811 -0.0312
C -4.2463 -0.2037 -1.3723
C -2.7403 -0.2133 -1.4117
N -2.1836 -0.6937 -0.1001
C -2.7068 -2.0791 0.1411
C -4.2116 -2.0730 0.1898
H -2.2936 1.2206 0.7632
H -2.2683 -0.1399 1.9370
H -4.5496 -0.1290 1.9962
H -4.5710 1.2318 0.8242
H -4.6651 -0.8858 -2.1201
H -4.6407 0.8080 -1.5174
H -2.3750 -0.8971 -2.1888
H -2.3525 0.7983 -1.5806
H -2.3469 -2.7055 -0.6853
H -2.2903 -2.4345 1.0908
H -4.5789 -2.4152 1.1630
H -4.6306 -2.6929 -0.6104
C 2.7471 5.2613 -0.3789
C 3.3852 4.2877 -1.1596
C 3.1577 2.9359 -0.9125
C 2.3264 2.5418 0.1572
C 2.0580 1.1248 0.4191
C 1.7004 0.2890 -0.6545
C 1.5153 -1.0801 -0.5620
C 1.1309 -1.9259 -1.6553
C 0.8763 -3.2996 -1.4048
C 0.4536 -4.1450 -2.4215
C 0.2880 -3.6484 -3.7234
C 0.5510 -2.2988 -3.9960
C 0.9732 -1.4421 -2.9808
C 2.1606 0.6245 1.7940
C 1.1296 -0.1334 2.3860
C 1.2388 -0.5601 3.7115
C 2.3974 -0.2820 4.4481
C 3.4396 0.4539 3.8669
C 3.3128 0.9216 2.5638
C 1.7061 3.5330 0.9525
C 1.8959 4.8811 0.6684
H 2.9124 6.3184 -0.5863
H 4.0589 4.5760 -1.9687
H 3.6425 2.1582 -1.5088
H 1.5905 0.7785 -1.6287
H 1.7156 -1.5718 0.3931
H 1.0165 -3.6654 -0.3856
H 0.2548 -5.1940 -2.1976
H -0.0400 -4.3156 -4.5219
H 0.4276 -1.9106 -5.0090
H 1.1836 -0.3934 -3.1996
H 0.2350 -0.3490 1.7934
H 0.4144 -1.1176 4.1627
H 2.4886 -0.6336 5.4763
H 4.3490 0.6720 4.4304
H 4.1151 1.5019 2.0995
H 1.0441 3.2145 1.7627
H 1.3823 5.6326 1.2706

Mulliken atomic charge list, values in e, 5 entries: -0.4612 -0.8699 -0.2385 -0.7193 -0.4652

=====

3.
# C27H29N4O2RuS2
- - -

1.
# C27H29FN4OS

One molecule with the formula C27H29FN4OS at a distorted geometry (ωB97M-V/def2-TZVPD, OMol25).

Molar mass, g mol⁻¹: 476.6
E, eV: -50032.3310
SMILES string: O=C(NCc1nnc(SCc2ccccc2)n1-c1ccc(F)cc1)[C@]12C[C@H]3C[C@H](C[C@H](C3)C1)C2
Multiplicity: 1
Energy relative to the best compared isomer or geometry (same formula, charge and spin), kJ/mol: 0.0
HOMO-LUMO gap, eV: 9.05
Charge: 0

Atoms and positions in Å:
O 0.6727 2.2678 0.3807
C 1.3139 1.4341 0.9880
N 0.9638 1.0374 2.2395
C -0.3468 1.3575 2.7750
C -1.3157 0.3168 2.3299
N -1.4473 -0.8643 2.8641
N -2.2982 -1.5818 2.1184
C -2.6641 -0.8349 1.1126
S -3.7651 -1.2693 -0.1570
C -3.3483 -3.0597 -0.2329
C -1.9443 -3.2212 -0.7139
C -0.9354 -3.5959 0.1648
C 0.3705 -3.7041 -0.2815
C 0.6816 -3.4323 -1.6030
C -0.3185 -3.0457 -2.4804
C -1.6239 -2.9394 -2.0379
N -2.0699 0.3964 1.1864
C -2.1554 1.4444 0.2485